It remains to repeat everything underneath verbatim.

********
The following is a quantum chemistry calculation of a cluster of 2 separate species, C3H6S in total at a distorted geometry, from OMol25.

ORCA input file:
```
! RIJCOSX wB97M-V def2-TZVPD def2/J DEFGRID3
* xyz 0 1
C 0.12546 -0.03122 1.19428
C -1.09620 -0.89447 1.02119
C -1.31839 0.40112 1.03512
S 1.00302 0.17139 -2.22802
H 0.48120 0.03054 2.25042
H 0.82346 0.03131 0.26345
H -1.57699 -1.76639 0.67618
H 2.03115 0.98639 -1.86749
H -1.94077 1.27448 1.21187
H 1.46805 -0.20316 -3.55701
*
```

- LUMO: 0.76 eV
- DFT total energy: -14039.85342 eV
- Maximum force: 2.9 eV Å⁻¹
- HOMO-LUMO gap: 9.901 eV
- ΔE to the lowest compared entry with this formula, charge and spin: 3.0128 eV
- Structure (SMILES): C1=CC1.S

***

The following is a quantum chemistry calculation of a cluster of 3 separate species, C15H28FINO4 in total at a distorted geometry, from OMol25.

ORCA input file:
```
! RIJCOSX wB97M-V def2-TZVPD def2/J DEFGRID3
* xyz 1 1
F 2.85702 -5.22958 0.34635
C 1.50232 -5.25375 0.07144
C 1.08271 -4.18808 -1.03352
N -0.41743 -4.15769 -0.99668
C -0.99701 -3.16604 -0.26480
C -2.47406 -3.14171 -0.21107
C -3.23478 -4.17533 -0.89181
C -2.52319 -5.21882 -1.63987
I -3.46956 -6.83933 -2.65623
C -1.08186 -5.15026 -1.66469
H 1.13478 -6.25264 -0.29167
H 0.86109 -5.01875 0.96871
H 1.39654 -4.48994 -2.06235
H 1.49501 -3.17038 -0.82059
H -0.41845 -2.39308 0.28751
H -2.97376 -2.34350 0.38481
H -4.34280 -4.22467 -0.87285
H -0.46867 -5.90073 -2.20979
C -1.98683 -0.30715 -2.57928
O -1.11992 0.02065 -1.51195
C 0.01617 0.77107 -1.94524
C -0.15216 2.25380 -1.65910
O -1.20748 2.81408 -2.43058
C -2.40597 2.97113 -1.68532
H -2.93251 -0.64084 -2.14915
H -2.18303 0.54648 -3.22902
H -1.55854 -1.12780 -3.16664
H 0.21310 0.59735 -3.00776
H 0.87797 0.40179 -1.37953
H 0.76590 2.77249 -1.94932
H -0.31382 2.43152 -0.59131
H -2.32024 3.83668 -1.02161
H -2.64143 2.08041 -1.09702
H -3.22064 3.14829 -2.38825
C 3.04486 2.28929 1.81569
O 1.70430 2.73890 1.68602
C 0.97399 2.63268 2.90408
C 0.87066 3.97442 3.61155
O 2.14340 4.42895 4.05113
C 2.70179 5.40959 3.18808
H 3.60328 2.63284 0.94473
H 3.52212 2.68551 2.71308
H 3.06922 1.19420 1.83807
H 1.42020 1.87813 3.55989
H -0.03523 2.29597 2.64342
H 0.24905 3.85267 4.50395
H 0.39236 4.72015 2.96833
H 2.20894 6.37274 3.35174
H 2.61295 5.12660 2.13641
H 3.75965 5.51168 3.43196
*
```

- LUMO: -4.60 eV
- DFT total energy: -36497.04253 eV
- Maximum force: 3.8 eV Å⁻¹
- HOMO-LUMO gap: 6.358 eV

***

The following is a quantum chemistry calculation of the molecule C10H17N3O4 at a distorted geometry, from OMol25.

ORCA input file:
```
! RIJCOSX wB97M-V def2-TZVPD def2/J DEFGRID3
* xyz 0 1
C 1.33158 -1.36691 -0.01542
C 1.25959 -0.24097 -1.03675
C 0.04879 -1.72496 0.65911
C -1.02608 -2.18171 -0.33956
C -2.43044 -2.24975 0.27925
C 0.55502 1.53703 0.62210
C -0.86398 1.38787 0.98260
C 0.98041 3.02823 0.47240
C 0.47947 3.30837 -0.93431
C 0.93125 2.02963 -1.71038
H 3.16260 -0.56914 0.73427
H 2.60329 -1.85909 1.52502
H 1.69203 -2.23176 -0.60130
H -0.35358 -0.86747 1.21298
H 0.22475 -2.51146 1.43932
H -0.73189 -3.10904 -0.80971
H -1.11687 -1.44324 -1.09177
H -2.60512 -4.24846 -0.03237
H -3.85135 -3.45796 0.82018
H 1.15666 1.09211 1.41446
H 0.52710 3.67921 1.20732
H 2.07026 3.05803 0.57144
H 0.90813 4.17129 -1.36635
H -0.61279 3.38724 -1.00389
H 0.22451 1.78695 -2.48490
H 1.89884 2.05168 -2.19217
H -2.33458 0.18273 0.33447
N 2.30685 -1.01005 1.05802
N -3.03136 -3.42514 0.30561
N 0.92376 1.03017 -0.69276
O 1.53014 -0.49633 -2.21042
O -2.96205 -1.24325 0.78414
O -1.28287 1.70294 2.07857
O -1.61206 0.80322 0.02080
*
```

- LUMO: 0.57 eV
- DFT total energy: -23307.60329 eV
- Maximum force: 2.5 eV Å⁻¹
- HOMO-LUMO gap: 9.629 eV
- ΔE to the lowest compared entry with this formula, charge and spin: 0.3522 eV
- Structure (SMILES): NC(=O)CC[C@H](N)C(=O)N1CCC[C@H]1C(=O)O

=====

This record from OMol25 describes a structure of composition H6N4O15Zn3. The level of theory is wB97M-V/def2-TZVPD.

Each line ends with the Mulliken charge.
Element x y z (Å)
********

The following is a quantum chemistry calculation of a cluster of 2 separate species, C3H6S in total at a distorted geometry, from OMol25.

ORCA input file:
```
! RIJCOSX wB97M-V def2-TZVPD def2/J DEFGRID3
* xyz 0 1
C 0.12546 -0.03122 1.19428
C -1.09620 -0.89447 1.02119
C -1.31839 0.40112 1.03512
S 1.00302 0.17139 -2.22802
H 0.48120 0.03054 2.25042
H 0.82346 0.03131 0.26345
H -1.57699 -1.76639 0.67618
H 2.03115 0.98639 -1.86749
H -1.94077 1.27448 1.21187
H 1.46805 -0.20316 -3.55701
*
```

- LUMO: 0.76 eV
- DFT total energy: -14039.85342 eV
- Maximum force: 2.9 eV Å⁻¹
- HOMO-LUMO gap: 9.901 eV
- ΔE to the lowest compared entry with this formula, charge and spin: 3.0128 eV
- Structure (SMILES): C1=CC1.S

***

The following is a quantum chemistry calculation of a cluster of 3 separate species, C15H28FINO4 in total at a distorted geometry, from OMol25.

ORCA input file:
```
! RIJCOSX wB97M-V def2-TZVPD def2/J DEFGRID3
* xyz 1 1
F 2.85702 -5.22958 0.34635
C 1.50232 -5.25375 0.07144
C 1.08271 -4.18808 -1.03352
N -0.41743 -4.15769 -0.99668
C -0.99701 -3.16604 -0.26480
C -2.47406 -3.14171 -0.21107
C -3.23478 -4.17533 -0.89181
C -2.52319 -5.21882 -1.63987
I -3.46956 -6.83933 -2.65623
C -1.08186 -5.15026 -1.66469
H 1.13478 -6.25264 -0.29167
H 0.86109 -5.01875 0.96871
H 1.39654 -4.48994 -2.06235
H 1.49501 -3.17038 -0.82059
H -0.41845 -2.39308 0.28751
H -2.97376 -2.34350 0.38481
H -4.34280 -4.22467 -0.87285
H -0.46867 -5.90073 -2.20979
C -1.98683 -0.30715 -2.57928
O -1.11992 0.02065 -1.51195
C 0.01617 0.77107 -1.94524
C -0.15216 2.25380 -1.65910
O -1.20748 2.81408 -2.43058
C -2.40597 2.97113 -1.68532
H -2.93251 -0.64084 -2.14915
H -2.18303 0.54648 -3.22902
H -1.55854 -1.12780 -3.16664
H 0.21310 0.59735 -3.00776
H 0.87797 0.40179 -1.37953
H 0.76590 2.77249 -1.94932
H -0.31382 2.43152 -0.59131
H -2.32024 3.83668 -1.02161
H -2.64143 2.08041 -1.09702
H -3.22064 3.14829 -2.38825
C 3.04486 2.28929 1.81569
O 1.70430 2.73890 1.68602
C 0.97399 2.63268 2.90408
C 0.87066 3.97442 3.61155
O 2.14340 4.42895 4.05113
C 2.70179 5.40959 3.18808
H 3.60328 2.63284 0.94473
H 3.52212 2.68551 2.71308
H 3.06922 1.19420 1.83807
H 1.42020 1.87813 3.55989
H -0.03523 2.29597 2.64342
H 0.24905 3.85267 4.50395
H 0.39236 4.72015 2.96833
H 2.20894 6.37274 3.35174
H 2.61295 5.12660 2.13641
H 3.75965 5.51168 3.43196
*
```

- LUMO: -4.60 eV
- DFT total energy: -36497.04253 eV
- Maximum force: 3.8 eV Å⁻¹
- HOMO-LUMO gap: 6.358 eV

***

The following is a quantum chemistry calculation of the molecule C10H17N3O4 at a distorted geometry, from OMol25.

ORCA input file:
```
! RIJCOSX wB97M-V def2-TZVPD def2/J DEFGRID3
* xyz 0 1
C 1.33158 -1.36691 -0.01542
C 1.25959 -0.24097 -1.03675
C 0.04879 -1.72496 0.65911
C -1.02608 -2.18171 -0.33956
C -2.43044 -2.24975 0.27925
C 0.55502 1.53703 0.62210
C -0.86398 1.38787 0.98260
C 0.98041 3.02823 0.47240
C 0.47947 3.30837 -0.93431
C 0.93125 2.02963 -1.71038
H 3.16260 -0.56914 0.73427
H 2.60329 -1.85909 1.52502
H 1.69203 -2.23176 -0.60130
H -0.35358 -0.86747 1.21298
H 0.22475 -2.51146 1.43932
H -0.73189 -3.10904 -0.80971
H -1.11687 -1.44324 -1.09177
H -2.60512 -4.24846 -0.03237
H -3.85135 -3.45796 0.82018
H 1.15666 1.09211 1.41446
H 0.52710 3.67921 1.20732
H 2.07026 3.05803 0.57144
H 0.90813 4.17129 -1.36635
H -0.61279 3.38724 -1.00389
H 0.22451 1.78695 -2.48490
H 1.89884 2.05168 -2.19217
H -2.33458 0.18273 0.33447
N 2.30685 -1.01005 1.05802
N -3.03136 -3.42514 0.30561
N 0.92376 1.03017 -0.69276
O 1.53014 -0.49633 -2.21042
O -2.96205 -1.24325 0.78414
O -1.28287 1.70294 2.07857
O -1.61206 0.80322 0.02080
*
```

- LUMO: 0.57 eV
- DFT total energy: -23307.60329 eV
- Maximum force: 2.5 eV Å⁻¹
- HOMO-LUMO gap: 9.629 eV
- ΔE to the lowest compared entry with this formula, charge and spin: 0.3522 eV
- Structure (SMILES): NC(=O)CC[C@H](N)C(=O)N1CCC[C@H]1C(=O)O

=====

This record from OMol25 describes a structure of composition H6N4O15Zn3. The level of theory is wB97M-V/def2-TZVPD.

Each line ends with the Mulliken charge.
Element x y z (Å)